Pages: 1629-1666 | Published: 10/2001 | DOI: 10.1111/0022-1082.00384 | Cited by: 1133
James Claus, Jacob Thomas
The returns earned by U.S. equities since 1926 exceed estimates derived from theory, from other periods and markets, and from surveys of institutional investors. Rather than examine historic experience, we estimate the equity premium from the discount rate that equates market valuations with prevailing expectations of future flows. The accounting flows we project are isomorphic to projected dividends but use more available information and narrow the range of reasonable growth rates. For each year between 1985 and 1998, we find that the equity premium is around three percent (or less) in the United States and five other markets.
Is It Inefficient Investment that Causes the Diversification Discount?
Pages: 1667-1691 | Published: 10/2001 | DOI: 10.1111/0022-1082.00385 | Cited by: 321
Toni M. Whited
The Diversification Discount: Cash Flows Versus Returns
Pages: 1693-1721 | Published: 10/2001 | DOI: 10.1111/0022-1082.00386 | Cited by: 121
Owen A. Lamont, Christopher Polk
Diversified firms have different values from comparable portfolios of single‐segment firms. These value differences must be due to differences in either future cash flows or future returns. Expected security returns on diversified firms vary systematically with relative value. Discount firms have significantly higher subsequent returns than premium firms. Slightly more than half of the cross‐sectional variation in excess values is due to variation in expected future cash flows, with the remainder due to variation in expected future returns and to covariation between cash flows and returns.
Upstairs Market for Principal and Agency Trades: Analysis of Adverse Information and Price Effects
Pages: 1723-1746 | Published: 10/2001 | DOI: 10.1111/0022-1082.00387 | Cited by: 68
Brian F. Smith, D. Alasdair S. Turnbull, Robert W. White
Attached: molecular data >
'''
DFT (ωB97M-V/def2-TZVPD) results for 2 unconnected molecules or ions with the total composition C5H3ClN2S in a non-equilibrium geometry.

XYZ file:
```
12
Properties=species:S:1:pos:R:3
C -2.413 -1.242 -0.363
C 0.443 -0.701 1.334
C 1.853 0.638 -0.173
C -0.130 0.068 0.348
C -2.448 0.189 -0.305
N -2.326 -2.402 -0.432
N 0.559 0.776 -0.491
S 2.131 -0.435 1.179
Cl -3.278 0.961 1.009
H -0.067 -1.281 2.077
H 2.575 1.195 -0.725
H -2.525 0.910 -1.192
```

Calculated values
* E_HOMO (alpha / beta): -9.08 / -9.10 eV
* energy above the lowest of the compared OMol25 structures with the same formula, charge and spin: 143.2 kJ/mol
* HOMO-LUMO gap (alpha / beta): 8.1 / 8.0 eV
* energy: -31567.1148 eV


DFT (ωB97M-V/def2-TZVPD) results for a molecular structure, C7H12ClCrN2O3 in a non-equilibrium geometry.

XYZ file:
```
26
Properties=species:S:1:pos:R:3
Cr -7.711 -10.330 -7.029
Cl -7.826 -10.726 -4.558
C -10.883 -9.094 -3.086
C -11.865 -10.060 -3.644
N -12.635 -10.831 -4.093
H -10.056 -9.052 -3.795
H -10.482 -9.588 -2.201
H -11.342 -8.134 -2.852
C -5.355 -10.454 -1.848
C -6.289 -10.060 -0.840
N -7.026 -9.745 -0.039
H -5.753 -11.256 -2.468
H -4.410 -10.772 -1.406
H -5.172 -9.618 -2.523
C -7.197 -13.757 -2.846
O -6.372 -14.750 -2.162
C -5.779 -15.647 -2.989
O -5.804 -15.634 -4.229
O -5.056 -16.469 -2.166
C -4.280 -17.540 -2.668
H -6.588 -13.183 -3.543
H -7.673 -13.048 -2.169
H -7.926 -14.191 -3.531
H -3.732 -18.006 -1.848
H -3.583 -17.227 -3.446
H -4.981 -18.257 -3.096
```

Calculated values
* E_HOMO (alpha / beta): -13.08 / -13.08 eV
* energy above the lowest of the compared OMol25 structures with the same formula, charge and spin: 157.4 kJ/mol
* spin multiplicity: 5
* HOMO-LUMO gap (alpha / beta): 3.8 / 5.3 eV
* ⟨S²⟩: 6.147
* energy: -57508.9525 eV
* net charge: +1


DFT (ωB97M-V/def2-TZVPD) results for a molecular structure, C22H41BrNP3STc in a non-equilibrium geometry.

XYZ file:
```
70
Properties=species:S:1:pos:R:3
Tc 0.179 -0.408 0.189
P -1.289 1.371 0.320
P 1.061 -2.433 0.864
P -0.316 -1.021 -1.920
H 1.722 3.192 2.647
C 1.936 3.954 1.888
C 1.076 4.939 1.586
H 0.089 5.019 2.055
C -1.178 2.209 1.936
C -3.083 1.087 0.099
C -1.040 2.805 -0.790
C 2.738 -2.740 0.192
C 1.342 -2.602 2.663
C 0.171 -3.986 0.457
C -0.399 0.313 -3.172
C -1.924 -1.864 -2.194
C 0.834 -2.169 -2.761
H 2.932 3.911 1.432
H 1.361 5.746 0.902
H -0.277 2.835 1.974
H -1.143 1.491 2.764
H -2.067 2.842 2.052
H -3.470 0.402 0.861
H -3.286 0.668 -0.894
H -3.595 2.054 0.192
H -0.137 3.353 -0.499
H -1.908 3.474 -0.701
H -0.942 2.488 -1.833
H 2.683 -3.335 -0.728
H 3.309 -3.288 0.952
H 3.244 -1.790 -0.019
H 2.345 -3.017 2.822
H 0.593 -3.278 3.092
H 1.268 -1.634 3.174
H -0.289 -4.372 1.374
H 0.886 -4.729 0.078
H -0.611 -3.833 -0.297
H -0.280 -0.141 -4.165
H 0.408 1.044 -3.027
H -1.373 0.814 -3.118
H -1.966 -2.202 -3.239
H -2.753 -1.170 -2.008
H -2.038 -2.738 -1.540
H 1.855 -1.769 -2.741
H 0.514 -2.260 -3.808
H 0.821 -3.160 -2.291
C 2.489 1.419 -1.542
C 3.079 0.618 -2.539
C 3.290 1.151 -3.808
'''
This paper directly tests the hypothesis that upstairs intermediation lowers adverse selection cost. We find upstairs market makers effectively screen out information‐motivated orders and execute large liquidity‐motivated orders at a lower cost than the downstairs market. Upstairs markets do not cannibalize or free ride off the downstairs market. In one‐quarter of the trades, the upstairs market offers price improvement over the limit orders available in the consolidated limit order book. Trades are more likely to be executed upstairs at times when liquidity is lower in the downstairs market.
== Inserted here: quantum chemistry results ==
┌──
This record from the OMol25 dataset describes a structure of composition CHCl2N2O2 in a non-equilibrium geometry. The level of theory is the ωB97M-V functional and the def2-TZVPD basis.

Computed properties:
- energy above the lowest of the compared OMol25 structures with the same formula, charge and spin (kJ/mol) = 365.7
- E_tot (eV) = -33168.193
- HOMO energy (eV) = -4.212
- frontier orbital gap (eV) = 6.560
- net charge = -1

Cartesian coordinates (Å):
Cl1 -1.05 1.40 1.25
Cl2 0.05 3.46 -0.16
O1 -0.99 -2.28 -1.11
O2 1.13 -1.90 -1.16
N1 -0.01 -1.70 -0.67
N2 -0.21 -0.88 0.30
C1 0.36 2.23 1.04
H1 0.71 -0.33 0.51

This record from the OMol25 dataset describes a structure of composition C5H11N in a non-equilibrium geometry. The level of theory is the ωB97M-V functional and the def2-TZVPD basis.

Computed properties:
- energy above the lowest of the compared OMol25 structures with the same formula, charge and spin (kJ/mol) = 353.3
- E_tot (eV) = -6849.866
- HOMO energy (eV) = -9.280
- frontier orbital gap (eV) = 10.336

Cartesian coordinates (Å):
N1 -2.36 -0.45 0.06
C1 2.59 0.21 0.18
C2 0.28 -0.70 0.40
C3 -0.94 -0.01 -0.29
C4 -0.76 1.43 -0.06
C5 1.56 -0.48 -0.41
H1 -1.36 1.83 -1.16
H2 2.53 0.69 1.16
H3 -1.46 1.83 1.02
H4 0.49 -0.45 1.46
H5 -2.17 -0.76 1.18
H6 -0.79 -0.35 -1.35
H7 0.09 -1.82 0.31
H8 -2.65 -1.37 -0.34
H9 3.54 0.15 -0.44
H10 1.61 -1.03 -1.37
H11 0.41 1.77 0.16


[1]
The following is a quantum chemistry calculation of a molecular structure, C4H9N3, from the Open Molecules 2025 dataset.

```
16
Properties=species:S:1:pos:R:3:lowdin_charge:R:1
C 1.61 -0.80 -0.50 -0.081
C 0.64 -0.17 0.45 -0.495
C -2.21 -0.90 -0.03 -0.173
N -1.22 -1.41 -0.44 0.131
N 0.53 -0.42 1.69 0.126
H 1.14 -1.18 1.99 0.059
H 1.86 -1.81 -0.20 0.076
H 2.54 -0.23 -0.52 0.083
H 1.20 -0.82 -1.51 0.060
H -2.12 0.37 0.60 0.089
H -3.26 -1.04 -0.25 0.089
C -0.01 1.23 0.04 -0.351
N 0.13 1.50 -1.24 0.096
H 0.32 2.49 -1.42 0.050
H 0.27 1.96 0.80 0.110
H -1.42 1.21 0.54 0.131
```

Computed properties:
Energy above the lowest of the compared OMol25 structures with the same formula, charge and spin (kcal/mol): 149.45
Frontier orbital gap (spin up / spin down) (eV): 7.8 / 7.8
Largest force on an atom (eV/A): 3.219
Calculated total energy (eV): -8758.0440

***

[2]
The following is a quantum chemistry calculation of a gas-phase ion, C8H12FN2O (charge +1), from the Open Molecules 2025 dataset.

```
24
Properties=species:S:1:pos:R:3:lowdin_charge:R:1
C 3.19 -0.28 1.43 -0.018
C 2.67 -1.48 1.02 0.037
C 2.87 1.01 0.98 -0.072
C 1.51 -1.61 0.15 -0.082
C 1.93 1.35 0.16 -0.049
C -3.13 1.85 -0.32 -0.075
C -1.24 -1.21 -1.03 -0.130
C -1.95 -0.17 -0.09 -0.214
N 1.07 -0.72 -0.61 0.038
N 0.05 -0.72 -1.39 0.056
O -2.27 0.88 -0.95 -0.195
F 1.62 2.18 -0.75 0.194
H 4.01 -0.26 2.12 0.129
H 3.06 -2.35 1.37 0.088
H 3.35 1.93 1.44 0.158
H 1.04 -2.53 0.40 0.122
H -3.38 2.55 -1.05 0.069
H -2.86 2.11 0.69 0.085
H -4.23 1.44 -0.10 0.133
H -1.25 -2.31 -0.81 0.147
H -1.85 -1.27 -1.95 0.139
H -1.20 0.10 0.72 0.133
└──
Excessive Extrapolation and the Allocation of 401(k) Accounts to Company Stock
Pages: 1747-1764 | Published: 10/2001 | DOI: 10.1111/0022-1082.00388 | Cited by: 505
Shlomo Benartzi
About a third of the assets in large retirement savings plans are invested in company stock, and about a quarter of the discretionary contributions are invested in company stock. From a diversification perspective, this is a dubious strategy. This paper explores the role of excessive extrapolation in employees' company stock holdings. I find that employees of firms that experienced the worst stock performance over the last 10 years allocate 10.37 percent of their discretionary contributions to company stock, whereas employees whose firms experienced the best stock performance allocate 39.70 percent. Allocations to company stock, however, do not predict future performance.
Counterparty Risk and the Pricing of Defaultable Securities
Pages: 1765-1799 | Published: 10/2001 | DOI: 10.1111/0022-1082.00389 | Cited by: 437
Robert A. Jarrow, Fan Yu
Motivated by recent financial crises in East Asia and the United States where the downfall of a small number of firms had an economy‐wide impact, this paper generalizes existing reduced‐form models to include default intensities dependent on the default of a counterparty. In this model, firms have correlated defaults due not only to an exposure to common risk factors, but also to firm‐specific risks that are termed “counterparty risks.” Numerical examples illustrate the effect of counterparty risk on the pricing of defaultable bonds and credit derivatives such as default swaps.
True Spreads and Equilibrium Prices
Pages: 1801-1835 | Published: 10/2001 | DOI: 10.1111/0022-1082.00390 | Cited by: 39
Clifford A. Ball, Tarun Chordia
Stocks and other financial assets are traded at prices that lie on a fixed grid determined by the minimum tick size. Observed prices and quoted spreads do not correspond to the equilibrium prices and true spreads that would exist in a market with no minimum tick size. Using Monte Carlo Markov Chain methods, this paper estimates the equilibrium prices and true spreads. For large stocks, most of the quoted spread is attributable to the rounding of prices and the adverse selection component is small. The true spread and the adverse selection component are greater for mid‐sized stocks.
LAPM: A Liquidity‐Based Asset Pricing Model
Pages: 1837-1867 | Published: 10/2001 | DOI: 10.1111/0022-1082.00391 | Cited by: 182
Bengt Holmström, Jean Tirole
The intertemporal CAPM predicts that an asset's price is equal to the expectation of the product of the asset's payoff and a representative consumer's intertemporal marginal rate of substitution. This paper develops an alternative approach to asset pricing based on corporations' desire to hoard liquidity. Our corporate finance approach suggests new determinants of asset prices such as the distribution of wealth within the corporate sector and between the corporate sector and the consumers. Also, leverage ratios, capital adequacy requirements, and the composition of savings affect the corporate demand for liquid assets and, thereby, interest rates.
Careers and Survival: Competition and Risk in the Hedge Fund and CTA Industry
Pages: 1869-1886 | Published: 10/2001 | DOI: 10.1111/0022-1082.00392 | Cited by: 335
Stephen J. Brown, William N. Goetzmann, James Park
Investors in hedge funds and commodity trading advisors (CTAs) are concerned with risk as well as return. We investigate the volatility of hedge funds and CTAs in light of managerial career concerns. We find an association between past performance and risk levels consistent with previous findings for mutual fund managers. Variance shifts depend upon relative rather than absolute fund performance. The importance of relative rankings points to the importance of reputation costs in the investment industry. Our analysis of factors contributing to fund disappearance shows that survival depends on absolute and relative performance, excess volatility, and on fund age.
Pages: 1887-1910 | Published: 10/2001 | DOI: 10.1111/0022-1082.00393 | Cited by: 87
Joshua D. Coval, Tyler Shumway
We analyze the information content of the ambient noise level in the Chicago Board of Trade's 30‐year Treasury Bond futures trading pit. Controlling for a variety of other variables, including lagged price changes, trading volumes, and news announcements, we find that the sound level conveys information which is highly economically and statistically significant. Specifically, changes in the sound level forecast changes in the cost of transacting. Following a rise in the sound level, prices become more volatile, depth declines, and information asymmetry increases. Our results offer important implications for the future of open outcry and floor‐based trading mechanisms.
Massively Confused Investors Making Conspicuously Ignorant Choices (MCI–MCIC)
Pages: 1911-1927 | Published: 10/2001 | DOI: 10.1111/0022-1082.00394 | Cited by: 117
Michael S. Rashes
This paper examines the comovement of stocks with similar ticker symbols. For one such pair of firms, there is a significant correlation between returns, volume, and volatility at short frequencies. Deviations from “fundamental value” tend to be reversed within several days, although there is some evidence that the return comovement persists for longer horizons. Arbitrageurs appear to be limited in their ability to eliminate these deviations from fundamentals. This anomaly allows the observation of noise traders and their effect on stock prices independent of changes in information and expectations.
Do Credit Spreads Reflect Stationary Leverage Ratios?
Pages: 1929-1957 | Published: 10/2001 | DOI: 10.1111/0022-1082.00395 | Cited by: 548
Pierre Collin‐Dufresne, Robert S. Goldstein
Most structural models of default preclude the firm from altering its capital structure. In practice, firms adjust outstanding debt levels in response to changes in firm value, thus generating mean‐reverting leverage ratios. We propose a structural model of default with stochastic interest rates that captures this mean reversion. Our model generates credit spreads that are larger for low‐leverage firms, and less sensitive to changes in firm value, both of which are more consistent with empirical findings than predictions of extant models. Further, the term structure of credit spreads can be upward sloping for speculative‐grade debt, consistent with recent empirical findings.
Location Matters: An Examination of Trading Profits
Pages: 1959-1983 | Published: 10/2001 | DOI: 10.1111/0022-1082.00396 | Cited by: 442
Harald Hau
The electronic trading system Xetra of the German Security Exchange provides a unique data source on the equity trades of 756 professional traders located in 23 different cities and eight European countries. We explore informational asymmetries across the trader population: Traders located outside Germany in non‐German‐speaking cities show lower proprietary trading profit. Their underperformance is not only statistically significant, it is also of economically significant magnitude and occurs for the 11 largest German blue‐chip stocks. We also examine whether a trader location in Frankfurt as the financial center, or local proximity of the trader to the corporate headquarters of the traded stock, or affiliation with a large financial institution results in superior trading performance. The data provide no evidence for a financial center advantage or of increasing institutional scale economies in proprietary trading. However, we find evidence for an information advantage due to corporate headquarters proximity for high‐frequency (intraday) trading.
Evaluating Mutual Fund Performance
Pages: 1985-2010 | Published: 10/2001 | DOI: 10.1111/0022-1082.00397 | Cited by: 214
S. P. Kothari, Jerold B. Warner
We study standard mutual fund performance measures, using simulated funds whose characteristics mimic actual funds. We find that performance measures used in previous mutual fund research have little ability to detect economically large magnitudes (e.g., three percent per year) of abnormal fund performance, particularly if a fund's style characteristics differ from those of the value‐weighted market portfolio. Power can be substantially improved, however, using event‐study procedures that analyze a fund's stock trades. These procedures are feasible using time‐series data sets on mutual fund portfolio holdings.
Pages: 2011-2012 | Published: 10/2001 | DOI: 10.1111/j.1540-6261.2001.tb00844.x | Cited by: 1
Pages: 2013-2016 | Published: 10/2001 | DOI: 10.1111/j.1540-6261.2001.tb00845.x | Cited by: 0
Pages: 2017-2018 | Published: 10/2001 | DOI: 10.1111/j.1540-6261.2001.tb00846.x | Cited by: 0